File >
/*
# 1
Here is C30H29N2O3SSiTi as an isolated structure in a non-equilibrium geometry from the Open Molecules 2025 dataset. Energies are from ωB97M-V with the def2-TZVPD basis set.

```
! wB97M-V def2-TZVPD RIJCOSX def2/J DEFGRID3
* xyz 0 2
Ti 0.2350 -0.0837 0.4911
O -0.5769 -0.9381 1.9510
C -1.1415 -0.5933 3.1053
C -1.4562 -1.5676 4.0522
C -2.0570 -1.1929 5.2398
C -2.3494 0.1449 5.5044
C -2.0242 1.1076 4.5697
C -1.4137 0.7603 3.3591
C -1.0702 1.8168 2.4202
N -0.4847 1.6168 1.2970
N -0.2480 2.8105 0.5663
C 0.2598 2.4780 -0.5796
O 0.4463 1.2423 -0.9459
C 0.6916 3.5425 -1.5286
C 0.4988 4.8870 -1.2231
C 0.9355 5.8620 -2.1048
C 1.5672 5.4992 -3.2889
C 1.7605 4.1599 -3.5915
C 1.3216 3.1790 -2.7116
H -1.1972 -2.5970 3.8431
H -2.2974 -1.9465 5.9797
H -2.8158 0.4348 6.4360
H -2.2345 2.1524 4.7691
H -1.2938 2.8469 2.6849
H 0.0144 5.1562 -0.2945
H 0.7874 6.9071 -1.8647
H 1.9110 6.2665 -3.9712
H 2.2582 3.8748 -4.5095
H 1.4760 2.1299 -2.9219
O -0.0545 -1.7121 -0.8354
S -1.1879 -2.7355 -0.9351
C -2.6273 -2.1797 -0.0196
C -3.7700 -2.7689 -0.8367
C -3.5052 -2.3591 -2.2922
C -1.9827 -2.4103 -2.5264
H -2.6325 -1.0868 -0.0396
H -2.5447 -2.5127 1.0113
H -4.7288 -2.4118 -0.4644
H -3.7782 -3.8577 -0.7400
H -3.8595 -1.3431 -2.4639
H -4.0297 -3.0077 -2.9906
H -1.5502 -1.4623 -2.8479
H -1.6682 -3.1873 -3.2191
C 3.5076 -4.1879 3.3850
C 3.2799 -4.0004 2.0271
C 3.0031 -2.7323 1.5375
C 2.9547 -1.6125 2.3752
C 3.1937 -1.8274 3.7349
C 3.4631 -3.0953 4.2382
Si 2.5023 0.0913 1.6930
C 3.9506 0.6929 0.6429
C 5.1842 0.0359 0.6329
C 6.2405 0.4833 -0.1519
C 6.0864 1.6103 -0.9462
C 4.8717 2.2827 -0.9511
C 3.8216 1.8223 -0.1695
H 3.7186 -5.1770 3.7725
H 3.3168 -4.8453 1.3495
H 2.8187 -2.6168 0.4729
H 3.1673 -0.9872 4.4206
H 3.6441 -3.2283 5.2981
H 2.4113 0.9262 2.9312
H 5.3257 -0.8475 1.2461
H 7.1841 -0.0489 -0.1388
H 6.9078 1.9636 -1.5578
H 4.7362 3.1633 -1.5682
H 2.8856 2.3677 -0.2018
*
```

For the largest force on an atom, the calculation gives 1.49 eV/A. The HOMO-LUMO gap (spin up / spin down) is 6.76 / 7.12 eV. For the HOMO energy (spin up / spin down), the calculation gives -6.7 / -7.2 eV.

Here are the natural (NBO) charges for atoms 1 to 2, given in e:
1. Ti 1.423
2. O -0.807



# 2
Here is a 2-piece molecular cluster, C4H11N2O overall from the Open Molecules 2025 dataset. Energies are from ωB97M-V with the def2-TZVPD basis set.

```
! wB97M-V def2-TZVPD RIJCOSX def2/J DEFGRID3
* xyz 1 1
C -0.9542 -1.3792 0.2511
C -1.9441 -2.3655 -0.2797
C 2.1033 1.1954 -0.5309
C 1.0406 1.4613 0.4369
N -0.4469 -0.3951 -0.3770
N 0.1838 2.4158 0.2719
O -0.6197 -1.6249 1.5068
H -1.4471 -3.0499 -0.9661
H -2.3534 -2.9383 0.5477
H -2.7441 -1.8617 -0.8163
H 3.0641 1.4637 -0.0839
H 1.9688 1.7539 -1.4541
H 2.1687 0.1326 -0.7574
H 1.0684 0.9606 1.3950
H -0.7501 -0.2887 -1.3358
H 0.0524 -1.0213 1.8495
H 0.1428 2.9126 -0.6124
H -0.5331 2.6286 0.9547
*
```

For the largest force on an atom, the calculation gives 0.96 eV/A. The HOMO-LUMO gap is 10.19 eV. For the HOMO energy, the calculation gives -14.2 eV.

Here are the natural (NBO) charges for atoms 1 to 2, given in e:
1. C 0.632
2. C -0.708



# 3
Here is C22H25N5O3S2 in the gas phase in a non-equilibrium geometry from the Open Molecules 2025 dataset. Energies are from ωB97M-V with the def2-TZVPD basis set.

```
! wB97M-V def2-TZVPD RIJCOSX def2/J DEFGRID3
* xyz 0 1
C 2.2919 2.0246 1.5800
C 2.3673 1.1026 0.4015
C 3.3951 1.2189 -0.5238
C 3.4904 0.3610 -1.6079
C 2.5315 -0.6170 -1.7720
C 1.4852 -0.7519 -0.8839
C 1.4042 0.0973 0.2145
N 0.3631 -0.0096 1.1421
C -0.3663 -1.1139 1.4139
O -0.1908 -2.2181 0.9504
C -1.4650 -0.8490 2.4448
H -1.8716 -1.8032 2.7785
H -1.1012 -0.2659 3.2891
S -2.8894 0.0432 1.7338
C -2.3425 1.6815 1.8920
N -1.1244 2.0534 2.2027
N -1.0975 3.3954 2.2543
C -2.2896 3.8257 1.9930
N -3.1428 2.7831 1.7486
C -4.5141 2.8578 1.4433
C -5.3030 3.7952 2.1004
C -6.6501 3.8820 1.8014
C -7.2105 3.0386 0.8563
C -6.4198 2.1073 0.2045
C -5.0697 2.0138 0.4905
H -4.4498 1.2991 -0.0277
H -6.8513 1.4510 -0.5351
H -8.2630 3.1077 0.6286
*/

To do >
Could you find "3.4631 -3.0953" and "-0.7574" in the block further above, and transcribe these two lines and those between?

Done >
C 3.4631 -3.0953 4.2382
Si 2.5023 0.0913 1.6930
C 3.9506 0.6929 0.6429
C 5.1842 0.0359 0.6329
C 6.2405 0.4833 -0.1519
C 6.0864 1.6103 -0.9462
C 4.8717 2.2827 -0.9511
C 3.8216 1.8223 -0.1695
H 3.7186 -5.1770 3.7725
H 3.3168 -4.8453 1.3495
H 2.8187 -2.6168 0.4729
H 3.1673 -0.9872 4.4206
H 3.6441 -3.2283 5.2981
H 2.4113 0.9262 2.9312
H 5.3257 -0.8475 1.2461
H 7.1841 -0.0489 -0.1388
H 6.9078 1.9636 -1.5578
H 4.7362 3.1633 -1.5682
H 2.8856 2.3677 -0.2018
*
```

For the largest force on an atom, the calculation gives 1.49 eV/A. The HOMO-LUMO gap (spin up / spin down) is 6.76 / 7.12 eV. For the HOMO energy (spin up / spin down), the calculation gives -6.7 / -7.2 eV.

Here are the natural (NBO) charges for atoms 1 to 2, given in e:
1. Ti 1.423
2. O -0.807



# 2
Here is a 2-piece molecular cluster, C4H11N2O overall from the Open Molecules 2025 dataset. Energies are from ωB97M-V with the def2-TZVPD basis set.

```
! wB97M-V def2-TZVPD RIJCOSX def2/J DEFGRID3
* xyz 1 1
C -0.9542 -1.3792 0.2511
C -1.9441 -2.3655 -0.2797
C 2.1033 1.1954 -0.5309
C 1.0406 1.4613 0.4369
N -0.4469 -0.3951 -0.3770
N 0.1838 2.4158 0.2719
O -0.6197 -1.6249 1.5068
H -1.4471 -3.0499 -0.9661
H -2.3534 -2.9383 0.5477
H -2.7441 -1.8617 -0.8163
H 3.0641 1.4637 -0.0839
H 1.9688 1.7539 -1.4541
H 2.1687 0.1326 -0.7574